In April 2013, the eight storey Rana Plaza Building in Dhaka, Bangladesh collapsed, killing 1,138 people and injuring another 2,500. The building housed 5 garment factories where poorly paid Bangladeshi workers made clothing for wealthy and high profile Western clothing labels. The Rana Plaza collapse has been reported as the deadliest accident in the history of the garment industry and the deadliest accidental structural failure in modern human history.
On the day of the collapse the Bangladeshi photojournalist Ismail Ferdous was in Dhaka and took these haunting and chilling images of the collapse and its aftermath. Ferdous’s work featured in this short documentary pays tribute to those who died, as well as those who worked to free people from the rubble. Ferdous also photographed clothing labels in the rubble that show the direct connection between high profile fashion labels and the deaths in the collapse.
The least we can do staring at these desperate and suffering eyes is asking ourselves whether the disaster at Rana Plaza is the natural outcropping of a system that we have contributed to create... a system purely based on consumerism and social inequality with no respect for the ecosystem and human beings.
Almost three years have passed by since that utter disaster, still many people 'working' there that day are missing and - most importantly - nothing has really changed. Corporate labels continue to exploit our planet for the sole sake of making money, lobby with mainstream media to make this stories disappear in a blow and sponsor marketing campaigns to avoid mass-reflection and change.
Too many of us are still unaware of these sick dynamics and indoctrinated with this mental idea of purchasing more for less while throwing everything away straight after a night out. We are not the ones to blame, that's true, but we are not purely victims either. In the 21st century and in such a critical moment for human history, not asking questions is our fault. We have the decision power and the intelligence to understand that quality garments crafted by skilled workers in safety and sustainable working conditions cannot be as cheap as those mass-produced with cruelty and slavery... People doing this invaluable job for passion and not survival cannot accept these insane wages and working conditions and independent labels doing things with values might not even think to create human slaughterhouses rather than tailored labs... All of this has a cost, though. Awareness is the first step towards change, but shoppers are the only ones who can really make a change through their choices and ultimately we are all shoppers.
+++
Record 1
{"formula": "C37H30N5O2RuS", "method": "wB97M-V/def2-TZVPD", "species": ["Ru", "O", "C", "N", "C", "O", "C", "C", "C", "C", "C", "N", "C", "C", "C", "C", "C", "N", "H", "H", "H", "H", "H", "H", "H", "H", "C", "C", "C", "C", "C", "C", "C", "C", "S", "C", "N", "C", "C", "C", "C", "C", "C", "C", "C", "H", "H", "H", "H", "H", "H", "H", "H", "H", "H", "H", "H", "H", "H", "H", "H", "C", "C", "C", "C", "C", "C", "C", "C", "N", "H", "H", "H", "H", "H", "H"], "positions_angstrom": [[-0.220, 1.789, 0.177], [-0.399, -1.032, 3.325], [-0.147, -0.193, 2.487], [-0.990, 0.413, 1.593], [-2.299, 0.619, 1.959], [-3.083, -0.143, 2.470], [-2.657, 2.078, 1.755], [-3.845, 2.573, 2.258], [-4.066, 3.939, 2.234], [-3.072, 4.760, 1.733], [-1.917, 4.185, 1.229], [-1.715, 2.867, 1.208], [1.236, 0.432, 2.441], [2.279, -0.111, 3.171], [3.506, 0.527, 3.152], [3.643, 1.694, 2.414], [2.553, 2.171, 1.709], [1.371, 1.550, 1.719], [-4.550, 1.868, 2.675], [-4.986, 4.358, 2.620], [-3.177, 5.835, 1.724], [-1.118, 4.794, 0.839], [2.094, -1.015, 3.734], [4.344, 0.126, 3.705], [4.581, 2.230, 2.379], [2.616, 3.067, 1.105], [0.143, -5.326, -0.600], [0.346, -4.214, 0.440], [-1.025, -3.751, 0.931], [1.128, -4.766, 1.640], [1.148, -3.076, -0.188], [2.408, -3.357, -0.753], [3.176, -2.390, -1.360], [2.697, -1.084, -1.371], [3.417, 0.339, -2.057], [2.076, 1.268, -1.496], [1.169, 0.594, -0.842], [1.475, -0.767, -0.778], [0.682, -1.774, -0.219], [1.882, 2.696, -1.665], [2.725, 3.476, -2.454], [2.437, 4.816, -2.634], [1.295, 5.342, -2.044], [0.471, 4.548, -1.256], [0.740, 3.198, -1.005], [-0.441, -6.140, -0.166], [1.091, -5.742, -0.943], [-0.400, -4.955, -1.469], [-1.561, -4.605, 1.347], [-1.628, -3.350, 0.114], [-0.953, -2.992, 1.711], [0.573, -5.588, 2.097], [1.269, -3.990, 2.397], [2.109, -5.145, 1.349], [2.781, -4.372, -0.732], [4.127, -2.640, -1.812], [-0.294, -1.517, 0.165], [3.592, 3.035, -2.934], [3.077, 5.438, -3.246], [1.039, 6.382, -2.210], [-0.425, 5.009, -0.862], [-1.655, 1.620, -1.369], [-1.911, 0.214, -1.784], [-1.118, -0.394, -2.764], [-1.330, -1.700, -3.159], [-2.364, -2.439, -2.583], [-3.172, -1.851, -1.612], [-2.944, -0.543, -1.226], [-2.598, -3.793, -2.999], [-2.780, -4.878, -3.336], [-2.585, 2.100, -1.052], [-1.270, 2.170, -2.230], [-0.322, 0.180, -3.224], [-0.708, -2.153, -3.920], [-3.976, -2.420, -1.166], [-3.595, -0.097, -0.484]], "s2": 0.758, "fmax_ev_per_a": 0.5, "gap_ev": [7.85, 7.33], "relative_energy_kcal_mol": 0.00, "spin_multiplicity": 2, "total_charge": 0, "e_lumo_ev": [-0.36, -0.76]}

***

Record 2
+++
It doesn't take longer to reflect on these lines and realise that buying 20 accessories per week at 2 pounds each is exactly the same as buying one at 40 pounds with the only exception that ideally it will last longer and have no impact on our ecosystem. Yes, we agree with you that this is not always true and there are many labels that try to trick shoppers with pricing strategy and heavy marketing, but again we are sons of the internet generation and is not difficult to seek out transparency before making a purchasing decision. At the end of the day it's all just about changing the way we look at things, being conscious of the impact that our choices have on the ecosystem and put our human values before our consumerist habits. A change is possible and we got to drive it.